Request.
The reader should restate the entries further below from the first line to the one with "(0.141, 0.828," verbatim.

Entries.
-- begin --
This record from the Materials Project database describes crystalline LaF3 at its relaxed geometry. The functional is PBE.

Results
Its energy with MP2020 corrections is -6.988 eV/atom.

a = 3.882 Å, b = 3.882 Å, c = 6.670 Å
α = 90.00°, β = 90.00°, γ = 90.00°
Space group I4/mmm (No. 139)
One atom of each set of equivalent atoms:
La (0.000, 0.000, 0.000) (multiplicity 2)
F (0.000, 0.000, 0.500) (multiplicity 2)
F (0.000, 0.500, 0.250) (multiplicity 4)



This record from the Materials Project database describes crystalline Na10Sc8Si5S7O48 at its relaxed geometry. The functional is PBE.

Results
Its energy with MP2020 corrections is -7.363 eV/atom.

a = 9.047 Å, b = 15.693 Å, c = 22.869 Å
α = 89.70°, β = 89.91°, γ = 89.95°
Space group P1 (No. 1)
One atom of each set of equivalent atoms:
Na (0.000, 0.000, 0.000) (multiplicity 1)
Na (0.001, 0.667, 0.666) (multiplicity 1)
Na (0.008, 0.335, 0.333) (multiplicity 1)
Na (0.129, 0.483, 0.253) (multiplicity 1)
Na (0.137, 0.159, 0.919) (multiplicity 1)
Na (0.141, 0.828, 0.588) (multiplicity 1)
Na (0.154, 0.156, 0.424) (multiplicity 1)
Na (0.155, 0.822, 0.089) (multiplicity 1)
Na (0.156, 0.485, 0.756) (multiplicity 1)
Na (0.270, 0.335, 0.833) (multiplicity 1)
Na (0.280, 0.668, 0.165) (multiplicity 1)
Na (0.329, 0.309, 0.506) (multiplicity 1)
Na (0.448, 0.148, 0.345) (multiplicity 1)
Na (0.464, 0.505, 0.339) (multiplicity 1)
Na (0.500, 0.168, 0.667) (multiplicity 1)
Na (0.508, 0.835, 0.333) (multiplicity 1)
Na (0.613, 0.654, 0.926) (multiplicity 1)
Na (0.628, 0.981, 0.254) (multiplicity 1)
Na (0.639, 0.328, 0.589) (multiplicity 1)
Na (0.639, 0.331, 0.089) (multiplicity 1)
Na (0.647, 0.987, 0.752) (multiplicity 1)
Na (0.654, 0.656, 0.423) (multiplicity 1)
Na (0.778, 0.168, 0.166) (multiplicity 1)
Na (0.780, 0.833, 0.834) (multiplicity 1)
Na (0.817, 0.504, 0.841) (multiplicity 1)
Na (0.829, 0.810, 0.505) (multiplicity 1)
Na (0.831, 0.150, 0.843) (multiplicity 1)
Na (0.947, 0.648, 0.345) (multiplicity 1)
Na (0.950, 0.311, 0.004) (multiplicity 1)
Na (0.964, 0.004, 0.340) (multiplicity 1)
Sc (0.125, 0.838, 0.737) (multiplicity 1)
Sc (0.127, 0.498, 0.405) (multiplicity 1)
Sc (0.131, 0.169, 0.072) (multiplicity 1)
Sc (0.132, 0.830, 0.440) (multiplicity 1)
Sc (0.134, 0.168, 0.775) (multiplicity 1)
Sc (0.137, 0.497, 0.107) (multiplicity 1)
Sc (0.142, 0.495, 0.607) (multiplicity 1)
Sc (0.144, 0.839, 0.238) (multiplicity 1)
Sc (0.147, 0.170, 0.274) (multiplicity 1)
Sc (0.147, 0.827, 0.942) (multiplicity 1)
Sc (0.153, 0.165, 0.571) (multiplicity 1)
Sc (0.155, 0.501, 0.903) (multiplicity 1)
Sc (0.621, 0.668, 0.070) (multiplicity 1)
Sc (0.627, 0.998, 0.405) (multiplicity 1)
Sc (0.629, 0.665, 0.773) (multiplicity 1)
Sc (0.632, 0.330, 0.440) (multiplicity 1)
Sc (0.633, 0.994, 0.108) (multiplicity 1)
Sc (0.634, 0.339, 0.739) (multiplicity 1)
Sc (0.642, 0.997, 0.607) (multiplicity 1)
Sc (0.644, 0.340, 0.238) (multiplicity 1)
Sc (0.646, 0.332, 0.939) (multiplicity 1)
Sc (0.648, 0.670, 0.273) (multiplicity 1)
Sc (0.649, 0.001, 0.906) (multiplicity 1)
Sc (0.653, 0.665, 0.571) (multiplicity 1)
Si (0.284, 0.645, 0.007) (multiplicity 1)
Si (0.284, 0.977, 0.340) (multiplicity 1)
Si (0.289, 0.313, 0.673) (multiplicity 1)
Si (0.346, 0.332, 0.340) (multiplicity 1)
Si (0.489, 0.813, 0.174) (multiplicity 1)
Si (0.495, 0.146, 0.507) (multiplicity 1)
Si (0.495, 0.479, 0.840) (multiplicity 1)
Si (0.784, 0.146, 0.008) (multiplicity 1)
Si (0.784, 0.478, 0.340) (multiplicity 1)
Si (0.784, 0.813, 0.673) (multiplicity 1)
Si (0.846, 0.832, 0.339) (multiplicity 1)
Si (0.933, 0.332, 0.839) (multiplicity 1)
Si (0.989, 0.314, 0.173) (multiplicity 1)
Si (0.994, 0.977, 0.842) (multiplicity 1)
Si (0.995, 0.646, 0.507) (multiplicity 1)
S (0.286, 0.017, 0.673) (multiplicity 1)
S (0.286, 0.684, 0.339) (multiplicity 1)
S (0.288, 0.350, 0.006) (multiplicity 1)
S (0.346, 0.664, 0.671) (multiplicity 1)
S (0.346, 0.997, 0.006) (multiplicity 1)
S (0.431, 0.831, 0.838) (multiplicity 1)
S (0.432, 0.499, 0.505) (multiplicity 1)
-- stop --

Solution.
This record from the Materials Project database describes crystalline LaF3 at its relaxed geometry. The functional is PBE.

Results
Its energy with MP2020 corrections is -6.988 eV/atom.

a = 3.882 Å, b = 3.882 Å, c = 6.670 Å
α = 90.00°, β = 90.00°, γ = 90.00°
Space group I4/mmm (No. 139)
One atom of each set of equivalent atoms:
La (0.000, 0.000, 0.000) (multiplicity 2)
F (0.000, 0.000, 0.500) (multiplicity 2)
F (0.000, 0.500, 0.250) (multiplicity 4)



This record from the Materials Project database describes crystalline Na10Sc8Si5S7O48 at its relaxed geometry. The functional is PBE.

Results
Its energy with MP2020 corrections is -7.363 eV/atom.

a = 9.047 Å, b = 15.693 Å, c = 22.869 Å
α = 89.70°, β = 89.91°, γ = 89.95°
Space group P1 (No. 1)
One atom of each set of equivalent atoms:
Na (0.000, 0.000, 0.000) (multiplicity 1)
Na (0.001, 0.667, 0.666) (multiplicity 1)
Na (0.008, 0.335, 0.333) (multiplicity 1)
Na (0.129, 0.483, 0.253) (multiplicity 1)
Na (0.137, 0.159, 0.919) (multiplicity 1)
Na (0.141, 0.828, 0.588) (multiplicity 1)